Read Tethered (The Avenlore Series) Page 20

  Chapter 17

  It’s not like he’s mine.

  That’s what I kept telling myself, that was the mantra I repeated over and over again in my head as I tried to look anywhere but the spot where Nikolas and his…betrothed…stood. But, my eyes had a mind of their own. No matter how I tried, they kept tracking back to him, hoping to view a different scene. A scene where this Brigitte did not have her tiny arm twined through Nikolas’.

  The worst part of it all was that I could feel Nikolas’ eyes on me every moment. I was hyperaware of him, his presence surrounding me like a thick fog.

  “Danica? Dani? Is something the matter?” My father’s voice broke through the fog.

  “Hmmm?” I turned to focus on his face. “Fine, I’m fine.” The words came out high-pitched and wrong.

  My father studied my face, he wasn’t fooled. “You have been through so much in such a short time. This all…it must not be easy for you.”

  My eyes found Nikolas for a split second. “Some things are more difficult to take than others.” I looked back to my father and caught sight of the auburn haired woman positioned several feet behind him. She stood wringing her hands, watching me, but trying to look like she wasn’t. “Is…is that my…um…my mother?”

  He glanced over his shoulder and a smile broke across his face, big and bright. “She is. She would very much like to meet you, if it is what you wish.”

  “Yes, of course. I would like that very much.” I told him as my stomach dropped a few inches.

  Offering his arm, my father led me over to the woman with auburn hair. I noticed the other woman, the blonde one, was nowhere to be seen.

  “Sweet Girl, allow me to introduce you Isla, well-loved Queen of Avenlore and Lady of the Valley of Light.”

  She smiled warmly at me, eyes glistening. She reached for me, then pulled her hands back, unsure of what to do. I smiled and extended my hands and she immediately grasped them in her tiny ones. Taking a deep breath, she looked into my eyes and I watched as tears tracked down her face. “The title I am most proud of…is that of your mother. If, if you will still have me, that is.” Immediately I knew I’d heard that voice before, it was the voice of the woman who beckoned me from the portal.

  I found I couldn’t speak, so I just nodded as my own sob caught me by surprise. Her voice was so familiar and not just as the voice that helped to bring me here. Some deeply buried part of me knew her the same way that I knew how to breathe. It was like an instinct.

  It was the same with my father. It was all just so undeniably right. They felt, well, tethered there, to my heart and soul. Maybe what Nikolas said had been more than just pretty words.

  Maybe he was tethered to me as well and In light of recent events, that was going to be extraordinarily problematic for me.

  My mother gave me a knowing look, and I feared she’d read my feelings on my face. “You look tired, dear. I know the past few days have been exceedingly difficult and you must be so exhausted. Allow me to show you to your chambers, a warm meal and a good rest will do so much.” She smiled warmly again.

  I nodded in response to my mother’s offer and breathed an internal sigh of relief that she was chalking up my no doubt worn and worried face to exhaustion. Of course I was tired, absolutely I was, but this whole situation with Nikolas has sent me into sort of a tailspin. I could almost hear the pilot’s distress call...

  Mayday, mayday!

  …and I didn’t want anyone to pick up on that.

  I had to hand it to my parents though, they held understanding in abundance. While I wanted to spend time with them, get to know them, I was overwhelmed and exhausted and…hurt. The longer I stood here, near Nikolas with Brigitte melded to his side like they were conjoined twins, the more pronounced the pain became.

  I needed to deal with that pain and I needed to deal with it alone…not to mention the other things I wanted to do like sleep in a bed and my gracious, bathe.

  My mother led me into the castle, while my father accompanied us and I was so lost in thought and feeling that I was completely unaware of my surroundings until we reached my room.

  My father opened the thick wooden door with a massive grin plastered across his face.

  When I looked into the room, I understood why. If nothing else had been like a fairytale, this room was.

  Walls, off white and smooth like marble set off the silver tapestries, stitched with pastel colors depicting scenes of beautiful waterfalls and flowing streams. The bed was enormous and covered in light gray bedding with a pale pink textured print that reminded me of something I was pretty sure was called damask. Iridescent stitching caught the light and shimmered, perfectly matching the billowy canopy that hung around the bed like so many fluffy clouds. The bed itself was made of a sturdy pale wood, the color of crepe myrtle bark. Massive pillows covered half the bed and a nook in the wall provided a wide seat covered in a thick, long cushion that matched the bedding. The window behind it reached from the seat to the ceiling.

  There were beautiful wardrobes to match the bed and a writing table complete with quill and ink pot. Matching tables sat to either side of bed, topped by lanterns that held many bright spots of light that waxed and waned alternately like fireflies. Every level surface in the room held vases sprouting fat bouquets of pale pink roses and white lilies and half a dozen other flowers I’d never even seen and the air carried their sweet scents.

  A luxurious rug spanned almost every inch of the circular room, threads every shade of gray and silver. Cozy warmth wafted from the fireplace and for once, the fire was provided via regular old ordinary logs, crackling and hissing as they burned.

  But the kicker, well that had to be the ceiling. High and domed, it was home to an immaculate and detailed painting. A woman and a man stood far apart in a meadow filled with flowers, seemingly unaware of one another and each looking haunted and lost as an angel hovered above each one. It was beautiful and heartbreaking.

  I turned to my parents who stood with their arms around each other, patiently watching as I took in the room. “Its…its just so…they are no words.” I told them.

  Hesitantly, I walked to my mother and father and wrapped an arm around each one, forming a group hug kind of thing. Their relief at my affection was palpable and I felt my heart swell a little in response.

  “I am so very glad you are safe with us at last.” My mother whispered through tears.

  “Me too.” I said.

  Dad let out a sigh of relief. He didn’t speak, but I felt a shudder roll through him with a poorly concealed sob.

  After an undetermined amount of time in our huddle, we began bidding each other goodnight. My mother indicated the door that led to my own private washroom and asked if I would like to come down to the dining hall and take a meal after I freshened up. I really didn’t feel up for it though. Truth be told, I was such a bundle of nerves I didn’t think I could eat at all. She finally got me to agree to let a bowl of soup and some cider be delivered to my room in case I changed my mind later.

  Each of my parents hugged me again, this time one on one, then stood in the doorway and stared at me like I may disappear for a few breaths before retiring to their own quarters. I figured I looked at them much the same since that was exactly what it felt like. Even though the circumstances of our reunion were far from ideal, I still feared having a family, my own actual family, was just a dream I would wake from.

  On my own in the massive bedroom, at first I was mostly happy in the wake of the reunion with my parents, but then I’ve always said alone with your thoughts is a dangerous place to be. It was as true now as it ever was. Five minutes alone and my mind began replaying the golden blur as she ran past me and pasted herself to Nikolas.

  I shook my head back and forth, trying to dislodge the image, but to no avail. This new development came on the heels of learning the whole business where Liam had failed
to mention he was the son of the man who was actively trying to end my life. I mean, that wasn’t his fault, but geez, he could’ve given me a heads up.

  I floated across the room to the door my mother had indicated was the washroom on my gloomy cloud. At least I had gotten to meet my mom and be reunited with my father again. Talk about taking the good with the bad.

  I opened the door to the washroom and discovered an immense stone tub that was already filled with steaming water waiting for me. Rose petals floated on the still surface, their scent permeating the air. Sighing at the glorious sight, I undressed and sank to my chin in the water, easing back to lean my head against the stone. I breathed in the steam and closed my eyes and…saw Nikolas’ face.


  I opened my eyes again, so much for a long, relaxing bath.

  Sitting back up, I decided sleep was the only thing that may save me from my thoughts. I scrubbed and washed quickly, ready to get to the part where I was unconscious and incapable of coherent thought.

  A table contained in the washroom was home to several grooming tools and multiple bottles of scented oils. I sniffed each one, deciding on a light floral scent with notes of rose and peach blossom. Plucking a heavy wooden brush from the table top, I worked the tangles from my hair before lacing the strands into a long, loose braid.

  I donned the robe that hung in the bathroom, at least that’s what I thought it was. It was pale blue, the material plush and thick. If I hadn’t found it in this room, I would’ve assumed it was some fancy overcoat thing.

  I knew I’d never had things this nice before but discovered my memories of what I did have were fuzzy and where I came from had also become a hazy spot in my mind. I could see my “aunt’s” face, but couldn’t remember her name and I could see beautiful mountain sides and a lit up, busy strip of road, but didn’t know what the place was called.

  That was kind of strange, and I would have to ask someone about that soon. But right now, I wouldn’t worry over it. There was nowhere available in my mind to process this development presently.

  Walking back into the bedroom, I discovered the soup and cider seated on the desk. I still didn’t feel like eating, but the soup did smell divine. I picked up the cup of cider and inhaled the rich scent of apples and sipped slowly. The warm liquid slid over my lips and down my throat, soothing as it went.

  I turned to stare at the bed and it called to me, promising warmth and comfort, but I was wound kind of tightly for sleep at the moment. I sleep would elude me if I attempted to lie there, but my thoughts would not. I turned my gaze toward the door instead. Decision made, I went to wardrobe and found a simple yet pretty emerald green frock and yanked it on.

  On bare feet I walked to the door and pulled it open.

  Nikolas was on the other side mid stride, pacing in front of the doorway, fingers raking through his damp hair.

  My heart twisted as my stomach descended to my toes.

  He stopped when he saw me, hands clenching and unclenching at his sides while his mouth worked silently as he opened it to speak, but didn’t half a dozen times.

  Dark circles hung beneath his eyes, his captivating features screwed up by the pained expression on his face. He walked a few steps forward, leaving only about a foot of space between us. He concentrated his intense gaze on me and I was paralyzed. “If you want me to go, you need only to tell me.”

  Of course I wouldn’t, glutton for punishment that I was.

  I glanced back and forth in each direction. “Where is your, uh, betrothed? I’m surprised she allowed you out of her sight.” My words emerged from my mouth with more bite than I’d intended.

  He looked wounded by my statement, maybe even a little angry, at least at the floor where his gaze had fallen at my words. “Not sure.” He sounded like he didn’t care, or maybe that was just how I wanted to interpret it.

  A voice in my head told me my comment sounded a little on the bitchy side and I didn’t really feel I had a right to act that way. I felt that way, wounded and catty, but I couldn’t pour that on him like he’d slighted me in some way. What had he done? Rescued me, comforted me? And wasn’t I just teetering on the Liam/Nikolas seesaw only a few hours ago?

  I was such a hypocrite.

  I could almost hear the internal GPS in my head. ‘Recalculating. Recalculating.’ I backpedaled. “I mean, she just seemed worried about you.” He still looked wounded, eyes unfocused in the direction of the wall to my right now. “I would’ve been.”

  His eyes flicked back to mine and stayed there and then the words were hurriedly pouring from his mouth. “Our parents just announced our betrothal a week ago, just a few days before we left in search of you.” He looked away and mussed his hair with his fingers again. “Apparently, Brigitte has known for years, I only learned of it the day her parents came and demanded we make the announcement.” He blew out a breath and met my eyes again.

  He looked so lost now and that was totally at odds with the confident, charming guy I was pretty sure was his norm.

  “You don’t owe me an explanation.” I told him quietly.

  His eyebrows knitted together as he tilted his head just slightly to one side. He shuffled a little closer and leaned his head down, rooting me to the spot with his electric blue eyes. His words were almost a whisper. “Don’t I?”

  Oh…so much trouble.

  I couldn’t stop myself from blurting out my thoughts. “So, you don’t love her?” I asked, trying to sound like it didn’t matter to me. Fail.

  “Am I interrupting?” Liam’s voice effectively popped the little bubble Nikolas and I were holed up in.

  Nikolas groaned and leaned away from me leisurely as I stepped back too quickly into the door frame and bumped my head.

  “Yes.” Nikolas ground out between clenched teeth.

  I squeaked out a “No!” at the same time.

  Liam smirked and leveled Nikolas with a look. “Your, uh…betrothed is it? Yes, I believe so.” He glanced at me, then back to Nikolas. “She is looking for you. Rather worked up, demanding your location from anyone with ears, and probably those without ears if she were to encounter anyone so unfortunate. Charming girl, that one.” He laughed and tried to cover it with a cough.

  Nikolas closed his eyes slowly and ran a hand over his face and through his deep brown waves. I heard him mumble something about ‘the Maker’ under his breath. Opening his eyes, he looked to me with that same troubled look that begged my understanding.

  “She’s somewhere in that direction, mate.” Liam offered, jerking a thumb over his shoulder to the left.

  Liam looked at me now. “You look well, Princess.”

  Nikolas turned to him and if his eyes could’ve spit fire I believe they would have. “Tell me, Liam… or do you prefer William? What brings you to this particular wing of the castle? You are aware that the royal apartments are housed here and only the royal family is allowed?”

  Nodding and smirking, Liam responded. “Liam, please. And forgive my boldness Sir Nikolas, but doesn’t that beg the same question of you then?”

  The Nikolas I’d first met made his appearance then, flashing a grin and a knowing look at Liam. He folded his arms across his chest and tilted his head to side. “Did I not mention? There are quarters here as well for on duty Royal Guardsmen…as well as a permanent residence for the head of the Royal Guard.”

  Liam turned three different shades of red before replying. “I see. Well, I just wanted to check that the Princess was well.”

  Nikolas looked to me and I nodded.

  “Very well, make your visit brief. I will leave you to it.” Nikolas took a step back, holding me with his eyes. “The answer to your question is no. Without question, no.” He left us there alone, and headed off down the hallway to the right.

____________
No. 1
First-principles (PBE) data for a relaxed CaSmEuSbO6 crystal, as listed in Materials Project.

## Properties
E (MP2020) = -8.052 eV/atom
SG = No. 16
E above lowest polymorph = 0 meV/atom
total moment = 0.6996 μB per atom
formation energy = -2.97 eV/atom

Unit cell a=8.4231 b=8.4364 c=8.4447 alpha=90.00 beta=90.00 gamma=90.00
Atoms (fractional coordinates):
Ca (0.0000, 0.0000, 0.0000)
Ca (0.0000, 0.5000, 0.0000)
Ca (0.5000, 0.0000, 0.0000)
Ca (0.5000, 0.5000, 0.5000)
Sm (0.2500, 0.2500, 0.7513)
Sm (0.2500, 0.7500, 0.2487)
Sm (0.7500, 0.2500, 0.2487)
Sm (0.7500, 0.7500, 0.7513)
Eu (0.0000, 0.0000, 0.5000)
Eu (0.0000, 0.5000, 0.5000)
Eu (0.5000, 0.0000, 0.5000)
Eu (0.5000, 0.5000, 0.0000)
Sb (0.2500, 0.2501, 0.2481)
Sb (0.2500, 0.7499, 0.7519)
Sb (0.7500, 0.2501, 0.7519)
Sb (0.7500, 0.7499, 0.2481)
O (0.0175, 0.2014, 0.2873)
O (0.0175, 0.7986, 0.7127)
O (0.1974, 0.2934, 0.0169)
O (0.1974, 0.7066, 0.9831)
O (0.2136, 0.4829, 0.2977)
O (0.2136, 0.5171, 0.7023)
O (0.2924, 0.0177, 0.1967)
O (0.2924, 0.9823, 0.8033)
O (0.2963, 0.2124, 0.4820)
O (0.2963, 0.7876, 0.5180)
O (0.4830, 0.2978, 0.2123)
O (0.4830, 0.7022, 0.7877)
O (0.5170, 0.2978, 0.7877)
O (0.5170, 0.7022, 0.2123)
O (0.7037, 0.2124, 0.5180)
O (0.7037, 0.7876, 0.4820)
O (0.7076, 0.0177, 0.8033)
O (0.7076, 0.9823, 0.1967)
O (0.7864, 0.4829, 0.7023)
O (0.7864, 0.5171, 0.2977)
O (0.8026, 0.2934, 0.9831)
O (0.8026, 0.7066, 0.0169)
O (0.9825, 0.2014, 0.7127)
O (0.9825, 0.7986, 0.2873)

***

No. 2
First-principles (PBE) data for a relaxed CaEuZrSnO6 crystal, as listed in Materials Project.

## Properties
E (MP2020) = -8.486 eV/atom
SG = No. 216
total moment = 0.7000 μB per atom
formation energy = -3.03 eV/atom

Unit cell a=5.8394 b=5.8394 c=5.8394 alpha=60.00 beta=60.00 gamma=60.00
Atoms (fractional coordinates):
Ca (0.0000, 0.0000, 0.0000)
Eu (0.5000, 0.5000, 0.5000)
Zr (0.2500, 0.2500, 0.2500)
Sn (0.7500, 0.7500, 0.7500)
O (0.5014, 0.5014, 0.9986)
O (0.5014, 0.9986, 0.5014)
O (0.5014, 0.9986, 0.9986)
O (0.9986, 0.5014, 0.5014)
O (0.9986, 0.5014, 0.9986)
O (0.9986, 0.9986, 0.5014)

***

No. 3
First-principles (PBE) data for a relaxed CaEuTi4O12 crystal, as listed in Materials Project.

## Properties
E (MP2020) = -8.772 eV/atom
SG = No. 38
total moment = 0.4988 μB per atom
formation energy = -3.04 eV/atom

Unit cell a=7.7790 b=5.4839 c=5.4839 alpha=89.86 beta=90.00 gamma=90.00
Atoms (fractional coordinates):
Ca (0.0000, 0.0000, 0.0000)
Eu (0.5000, 0.5127, 0.5127)
Ti (0.2476, 0.0094, 0.5046)
Ti (0.2476, 0.5046, 0.0094)
Ti (0.7524, 0.0094, 0.5046)
Ti (0.7524, 0.5046, 0.0094)
O (0.0000, 0.5374, 0.9928)
O (0.0000, 0.9928, 0.5374)
O (0.2246, 0.2305, 0.2305)
O (0.2598, 0.2808, 0.7334)
O (0.2598, 0.7334, 0.2808)
O (0.2697, 0.7709, 0.7709)
O (0.5000, 0.0335, 0.4885)
O (0.5000, 0.4885, 0.0335)
O (0.7303, 0.7709, 0.7709)
O (0.7402, 0.2808, 0.7334)
O (0.7402, 0.7334, 0.2808)
O (0.7754, 0.2305, 0.2305)

***

No. 4
First-principles (PBE) data for a relaxed CaEuZr2O6 crystal, as listed in Materials Project.
____________

  I watched him go until Liam cleared his throat. I whipped my head back to focus on Liam who just stared at me for a
moment, his face unreadable. Despite what expression was plastered on his face, he still remained beautiful and mysterious to the power of ten. It kind of scrambled my brain to look at him.

  And then I remembered I was angry with him a little and decided to start there. “Forget to mention something, did we?” I spat the words in his general direction.

  Anger flashed in Liam’s pale green eyes, making them a few shades darker. “From the look on your face in the courtyard, I’d say I was not the only one who forgot to mention something.” He shot back.

  He did not just go there.

  My breath came quicker as I tried to think of something suitable to say. “I don’t know what you’re talking about.” The words came out kind of sing-songy, so they weren’t exactly convincing.

  Liam nodded and looked pointedly at me, leaning in closer. “I am quite sure you do…and I did not wish to frighten you with the knowledge of who I was.”

  I lifted my chin defiantly, and locked eyes with him as my heart rate sped up. “Maybe you should’ve had a little faith in me, you might’ve been surprised.”

  Liam held my eyes with one of his soul-burning gazes. My skin was flushed with embarrassment and anger as I returned his stare, refusing to back down. His eyes softened and he extended a hand, trailing his fingers lightly along my cheekbone. Before I could react, he laced his fingers through my hair down to the nape of my neck and tugged me forward.

  Lips against my ear, he whispered. “Oh, Dani…I was.” Liam guided my head back until he could see my eyes and he was captivating…he was fire and danger and beauty. Voice rough, he spoke again. “There was something I wanted to tell you, before they found us by the cave…”

  “What?” I breathed.

  He searched my eyes, vulnerability flashing in his own. “This.” He grasped my face with both hands and pulled me to him. His lips, warm and soft, pressed to mine with a desperation that made me feel like I may unravel or he may unravel, or maybe we both would. He inhaled deeply, like he was breathing in the moment and not the air and my heart rate climbed higher.

  Liam broke the kiss and took a step back, a satisfied smirk curving his mouth up at one side. Without a word, he turned on his heel and strode off down the hall, never once looking back, leaving me breathless and dumbfounded, with my mouth hanging open like an idiot.

  Damn him.